It remains to transcribe the lines further below from the one with "0.746 0.746" to the one with "-9.55" verbatim.

____________
Density functional theory data (GGA+U) for crystalline Al4Co3O12 at its relaxed geometry.

Distance to the lowest polymorph of the same formula: 0.0134 eV/atom

a = 9.868 Å, b = 5.745 Å, c = 13.967 Å
α = 90.00°, β = 90.38°, γ = 90.00°
Space group C2/m (No. 12)
Symmetry-distinct sites (fractional):
Al1 0.000 0.000 0.000
Al2 0.000 0.500 0.500
Al3 0.082 0.247 0.670
Al4 0.250 0.250 0.000
Co1 0.000 0.500 0.123
Co2 0.163 0.000 0.459
Co3 0.167 0.000 0.213
O1 0.005 0.000 0.739
O2 0.013 0.500 0.746
O3 0.069 0.259 0.419
O4 0.084 0.244 0.927
O5 0.150 0.500 0.588
O6 0.154 0.000 0.592
O7 0.167 0.000 0.071
O8 0.172 0.500 0.073
O9 0.244 0.263 0.746

---

Density functional theory data (GGA+U) for crystalline GdTlMo2O8 at its relaxed geometry.

Calculated total energy: -7.847 eV per atom

a = 5.191 Å, b = 18.811 Å, c = 8.252 Å
α = 90.00°, β = 90.00°, γ = 90.00°
Space group Pbcn (No. 60)
Symmetry-distinct sites (fractional):
Gd1 0.000 0.007 0.250
Tl1 0.000 0.230 0.750
Mo1 0.022 0.399 0.016
O1 0.102 0.313 0.476
O2 0.228 0.401 0.841
O3 0.241 0.409 0.188
O4 0.249 0.464 0.504

~~~~~

Entry from the Materials Project: a relaxed structure of V5P3 (PBE).

Cell: 6.944 6.944 4.800 Å, 90.00 90.00 120.00°
Element x y z (fractional)
V 0.746 0.746 0.750
P 0.613 0.613 0.250
V 0.746 0.000 0.250
V 0.333 0.667 0.500
V 0.000 0.746 0.250
V 0.333 0.667 0.000
P 0.613 0.000 0.750
P 0.000 0.613 0.750
P 0.387 0.387 0.750
V 0.667 0.333 0.500
V 0.667 0.333 0.000
V 0.000 0.254 0.750
V 0.254 0.254 0.250
P 0.387 0.000 0.250
P 0.000 0.387 0.250
V 0.254 0.000 0.750

formation energy from the elements	-0.79	eV/atom
calculated total energy	-8.49	eV per atom

---

Entry from the Materials Project: a relaxed structure of VP2 (PBE).

Cell: 4.504 4.504 7.173 Å, 62.77 62.77 40.35°
Element x y z (fractional)
P 0.600 0.600 0.599
P 0.142 0.142 0.970
P 0.858 0.858 0.030
V 0.844 0.844 0.698
V 0.156 0.156 0.302
P 0.400 0.400 0.401

formation energy from the elements	-0.61	eV/atom
calculated total energy	-7.25	eV per atom

---

Entry from the Materials Project: a relaxed structure of ZrVP (PBE).

Cell: 3.520 6.637 7.924 Å, 90.00 90.00 90.00°
Element x y z (fractional)
Zr 0.250 0.039 0.831
P 0.750 0.738 0.864
V 0.250 0.629 0.058
P 0.750 0.238 0.636
P 0.250 0.262 0.136
V 0.250 0.129 0.442
Zr 0.750 0.961 0.169
V 0.750 0.871 0.558
Zr 0.750 0.461 0.331
P 0.250 0.762 0.364
Zr 0.250 0.539 0.669
V 0.750 0.371 0.942

formation energy from the elements	-1.10	eV/atom
calculated total energy	-8.79	eV per atom

---

Entry from the Materials Project: a relaxed structure of PW (PBE).

Cell: 3.266 5.758 6.269 Å, 90.00 90.00 90.00°
Element x y z (fractional)
P 0.750 0.816 0.566
P 0.750 0.316 0.934
W 0.250 0.514 0.688
P 0.250 0.684 0.066
P 0.250 0.184 0.434
W 0.750 0.486 0.312
W 0.250 0.014 0.812
W 0.750 0.986 0.188

formation energy from the elements	-0.37	eV/atom
calculated total energy	-9.55	eV per atom

---

Entry from the Materials Project: a relaxed structure of PW3 (PBE).

Cell: 7.399 7.399 7.399 Å, 96.20 96.20 141.64°
Element x y z (fractional)
W 0.854 0.500 0.354
W 0.972 0.972 0.399
W 0.028 0.426 0.000
W 0.362 0.362 0.188
W 0.146 0.500 0.646
P 0.708 0.000 0.708
W 0.826 0.638 0.000
P 0.292 0.000 0.292
W 0.174 0.174 0.812
W 0.638 0.826 0.000
W 0.574 0.574 0.601
W 0.426 0.028 0.000
W 0.500 0.854 0.354
P 0.000 0.708 0.708
P 0.000 0.292 0.292
W 0.500 0.146 0.646

formation energy from the elements	-0.13	eV/atom
calculated total energy	-11.20	eV per atom
total moment	0.00	μB/f.u.

---

Entry from the Materials Project: a relaxed structure of PW3 (PBE).

Cell: 7.414 7.414 7.414 Å, 96.16 96.16 141.75°
Element x y z (fractional)
P 0.509 0.791 0.301
W 0.463 0.064 0.989
W 0.356 0.997 0.351
W 0.646 0.005 0.649
W 0.677 0.864 0.005
W 0.328 0.323 0.188
P 0.209 0.510 0.717
W 0.003 0.354 0.359
P 0.490 0.208 0.699
P 0.792 0.491 0.283
W 0.526 0.537 0.601
W 0.995 0.644 0.641
W 0.075 0.474 0.011
W 0.136 0.141 0.812
W 0.936 0.925 0.399
W 0.859 0.672 0.995

formation energy from the elements	-0.12	eV/atom
____________

V 0.746 0.746 0.750
P 0.613 0.613 0.250
V 0.746 0.000 0.250
V 0.333 0.667 0.500
V 0.000 0.746 0.250
V 0.333 0.667 0.000
P 0.613 0.000 0.750
P 0.000 0.613 0.750
P 0.387 0.387 0.750
V 0.667 0.333 0.500
V 0.667 0.333 0.000
V 0.000 0.254 0.750
V 0.254 0.254 0.250
P 0.387 0.000 0.250
P 0.000 0.387 0.250
V 0.254 0.000 0.750

formation energy from the elements	-0.79	eV/atom
calculated total energy	-8.49	eV per atom

---

Entry from the Materials Project: a relaxed structure of VP2 (PBE).

Cell: 4.504 4.504 7.173 Å, 62.77 62.77 40.35°
Element x y z (fractional)
P 0.600 0.600 0.599
P 0.142 0.142 0.970
P 0.858 0.858 0.030
V 0.844 0.844 0.698
V 0.156 0.156 0.302
P 0.400 0.400 0.401

formation energy from the elements	-0.61	eV/atom
calculated total energy	-7.25	eV per atom

---

Entry from the Materials Project: a relaxed structure of ZrVP (PBE).

Cell: 3.520 6.637 7.924 Å, 90.00 90.00 90.00°
Element x y z (fractional)
Zr 0.250 0.039 0.831
P 0.750 0.738 0.864
V 0.250 0.629 0.058
P 0.750 0.238 0.636
P 0.250 0.262 0.136
V 0.250 0.129 0.442
Zr 0.750 0.961 0.169
V 0.750 0.871 0.558
Zr 0.750 0.461 0.331
P 0.250 0.762 0.364
Zr 0.250 0.539 0.669
V 0.750 0.371 0.942

formation energy from the elements	-1.10	eV/atom
calculated total energy	-8.79	eV per atom

---

Entry from the Materials Project: a relaxed structure of PW (PBE).

Cell: 3.266 5.758 6.269 Å, 90.00 90.00 90.00°
Element x y z (fractional)
P 0.750 0.816 0.566
P 0.750 0.316 0.934
W 0.250 0.514 0.688
P 0.250 0.684 0.066
P 0.250 0.184 0.434
W 0.750 0.486 0.312
W 0.250 0.014 0.812
W 0.750 0.986 0.188

formation energy from the elements	-0.37	eV/atom
calculated total energy	-9.55	eV per atom